Warning: while chockfull of excitement, this may be my longest post ever.
Our Notre Dame visits actually started with Tucson Ted since he also earned his undergrad degree there but he and Chris never met until the ACE masters program. Tommy D is another Notre Dame connection as a section-mate to Chris in Flanner. Our next three visits were to the families of Chris’ roommate mainstays until they split up to become Resident Assistants. Duncan is in northern Illinois, Jesus is near Milwaukee, Wisconsin, and Ross is in southern Michigan. We were blessed to be able to visit all three on our way home along with a full day visit to campus where so much has changed since they studied there.
Meet Duncan |
Duncan married his high school sweetheart, Madonna, and moved back to their hometown. We took a minor detour and stayed at Starved Rock State Park for one night hoping the Duncans could join us for dinner. We were so excited when Duncan emailed back within minutes to our request and we set plans for a meal at the park lodge. Danny (3) and Maddie (1 ½) provided the entertainment for the evening especially for Lily. After eating, they shared toys and tooted around the table while Madonna snuggled with Lily. We hung out for a while after dinner by the huge fireplace in the lodge. Duncan had Danny share his enthusiasm for the alma mater by saying “Go Irish” and Maddie waltzed around pant-less much of the evening as her pants dried by the fire. We got such a kick out of their energy and playfulness. Maddie and Lily had fun giving kisses and hugging each other. The whole family was up for a camper visit so we drove over and gave the tour. Danny was impressed with the radio and oven and even made us some “ravioli”. We were impressed with Duncan’s choice of vehicle: a boat (with the horn to prove it) of a 1990-something Cadillac in great shape but huge…hilarious. What a joy it was to be able to meet up with the Duncans on such short notice even if only for a few hours.
The Wys and the Duncans |
If you’ve ever seen National Lampoon’s Christmas you know how we looked pulling into Jesus and Megan Torres’ neighborhood.
We planned on parking in their driveway as Jesus was pretty sure it was long enough and “not too steep”. With a little help from another ND alum, Jack, Chris ‘jacked’ up the camper to level which required several cinderblocks and all of our Lynx Leveler blocks. We turned some heads over the weekend but didn’t generate any complaints. Quintin (3) was extremely patient in waiting to enter the “camp out”. He was so cute in his explorations and asked some entertaining questions: “Why do they have slippery soap?” and “Why does your toilet have a door?” He loved being up on the bed and Megan had to restrain him from jumping between the couch and dinette seats. Corbin (5 months) is a cute roly-poly bundle who weighs about the same as Lily! He is so relaxed and snuggly so we just ate up every minute we got to hold him.
Meet Jesus (and Corbin) |
I love Jesus’ nicknames for his kids…Corbinski, Corbster, My Quintin, Roo, and many others all said with affection and a smile. We spent the whole weekend with the Torres family; they totally spoiled us with delicious meals and treats from local shops. They treated us to a takeout meal from Out & Out, a ‘no burgers, no fries’ kind of place, and custard for desert on Sunday evening. Megan made chili, salad, and cornbread one day and grilled some traditional Wisconsin brats the next. Quintin and Chris composed a few tunes on the piano while Corbin and Lily hung out with their mommies.
We took a walk to historic Cedarburg and poked around a neat store called
Lilies then warmed up a bit by enjoying the playground and park.
Megan and Me and the snoozing babies |
Chris and Jesus took a serious ride on the merry-go-round and documented it simultaneously with iPhone and video camera. Lily and Corbin slept for most of the adventure and Quintin was a real trooper walking much of the way.
Jesus & Quintin |
Chris really enjoyed catching up with Jesus and I loved meeting them all since they couldn’t come to our wedding because Quintin was born just a couple of weeks before it. Regardless of the chilly April weather, we enjoyed this visit immensely and hope it works out to be able to spend even more time with them in the future.
We survived Chicago by taking the 294 toll loop around the metro area; it was still congested even at two in the afternoon and after shelling out $17.95 in tolls. We took the scenic route to Potato Creek State Park in Indiana just fifteen miles south of Notre Dame. We spent May 3rd at the campground feeling sleepy and traveled up to campus on the 4th. We were able to see more people than I had anticipated. First, we sought out the ACE office which turned out to be in transition between old and new buildings so we had to search around a bit. We found one of Chris’ most memorable ACE professors, Doc Doyle, and really enjoyed our hour or so chatting with him. It was refreshing to hear him explain that he teaches his social studies teachers to use a few choice concepts rather than dozens of minute facts and dates. This is so contrary to how we’ve been told to teach using state standards and testing for knowledge of minutia, especially in terms of history.
Doc Doyle in the soon-to-be-old ACE office |
• Quantum chemistry results, kept here for reference:
Record 1
This record from OMol25 describes C39H45MgNO2P2Te as an isolated structure. The level of theory is wB97M-V/def2-TZVPD.

Last column: Löwdin charge in e.
Geometry (Å):
Te1 -0.3448 -2.1727 -2.5154  0.9291
P1 -0.5225 0.2248 2.7682  1.0349
P2 1.1832 -0.2779 0.4710  0.9703
Mg1 -1.3857 -0.5122 -0.7638  0.2862
O1 -2.7841 0.5467 -0.5952  -0.4484
O2 -1.8799 -2.2093 0.5120  -0.3242
N1 0.9717 0.5275 1.9766  -0.5397
C1 0.1862 3.1821 -1.5107  -0.0671
C2 -0.2017 -1.1275 -4.3657  -0.5123
C3 1.0757 -0.5802 -6.3446  -0.0354
C4 -3.9246 1.3042 -0.8175  -0.2550
C5 5.3090 -0.1658 0.2339  -0.0727
C6 4.6548 -2.2516 1.2356  -0.0794
C7 0.0283 -0.3525 4.4198  -0.3707
C8 0.9809 -1.2420 -5.1231  -0.3334
C9 -1.3949 3.9630 4.3734  -0.0809
C10 0.6851 2.9582 -2.7847  -0.0677
C11 0.7674 -1.4473 6.8858  -0.0918
C12 1.6521 -1.4746 5.8167  -0.0820
C13 1.9384 1.5131 2.4742  -0.1269
C14 -2.1071 2.3932 2.2003  -0.1067
C15 5.6506 -1.3828 0.8110  -0.0818
C16 -2.0198 -3.8645 2.2167  -0.1363
C17 -3.2767 -2.4051 0.8090  -0.1659
C18 -1.2688 -0.3654 -4.8671  -0.3109
C19 -0.8642 -0.3531 5.4951  -0.1123
C20 3.3205 -1.8991 1.0804  -0.1008
C21 -2.6497 3.6643 2.3443  -0.0738
C22 2.1474 -2.0905 -4.6763  -0.1090
C23 1.3865 1.7883 -3.0617  -0.0598
C24 -0.4955 -0.8892 6.7204  -0.0857
C25 -2.5847 -0.2403 -4.1426  -0.0853
C26 0.1527 0.8595 -8.1917  -0.0575
C27 -3.2678 -2.9628 2.2206  -0.1461
C28 -1.1908 1.8991 3.1348  -0.3560
C29 1.1143 1.0766 -0.7669  -0.4039
C30 0.3918 2.2415 -0.5063  -0.0992
C31 2.9691 -0.6731 0.5148  -0.3520
C32 1.5957 0.8523 -2.0629  -0.1361
C33 3.9743 0.1888 0.0855  -0.0905
C34 1.2830 -0.9343 4.5897  -0.0966
C35 -2.2937 4.4505 3.4314  -0.0841
C36 -0.8486 2.6945 4.2284  -0.1018
C37 -1.1175 -3.2581 1.1282  -0.1910
C38 0.0343 0.1894 -6.8472  -0.2814
C39 -1.1253 0.2816 -6.0942  -0.0260
H1 -3.3596 4.0336 1.6143  0.1048
H2 2.5135 -1.7845 -3.6938  0.0406
H3 -4.4584 1.5221 0.1188  0.0642
H4 -3.6955 2.2712 -1.2875  0.0726
H5 -2.4698 0.2409 -3.1698  0.0406
H6 -0.6722 1.5511 -8.3641  0.0705
H7 -2.2854 -4.8910 1.9627  0.1098
H8 -1.1934 -0.8730 7.5503  0.1035
H9 -4.6357 0.7903 -1.4757  0.0712
H10 -0.0174 2.4156 0.4830  0.0842
H11 1.0577 -1.8643 7.8424  0.1010
H12 -3.1454 -2.1486 2.9361  0.1049
H13 2.6334 -1.9202 5.9343  0.1031
H14 -2.3925 1.7661 1.3558  0.0691
H15 -0.3735 4.0839 -1.2948  0.1066
H16 -1.5201 -3.8721 3.1852  0.1087
H17 0.5193 3.6880 -3.5677  0.1053
H18 1.8499 -3.1382 -4.5805  0.0643
H19 -3.2948 0.3467 -4.7281  0.0767
H20 -1.9550 0.8707 -6.4747  0.1101
H21 6.6932 -1.6548 0.9258  0.1040
H22 0.1403 0.1179 -8.9939  0.0797
H23 2.9323 1.0748 2.5549  0.0740
H24 -0.8293 -3.9879 0.3721  0.1133
H25 1.6419 1.8552 3.4620  0.0672
H26 -2.7222 5.4380 3.5516  0.1024
H27 1.0881 1.4158 -8.2782  0.0752
H28 2.9689 -2.0255 -5.3932  0.0725
H29 -0.1563 2.3301 4.9791  0.1013
H30 4.9166 -3.2061 1.6751  0.1041
H31 1.9793 -0.9599 3.7574  0.0858
H32 -1.8540 0.0763 5.3731  0.1071
H33 -3.7731 -1.4435 0.6987  0.1182
H34 -1.1192 4.5728 5.2258  0.1029
H35 1.7520 1.5973 -4.0637  0.1094
Walking around campus on the last day of classes before exams was pretty neat. I had only been to Notre Dame during the summer for the ACE fifteen year celebration so there were very few students. South Quad was buzzing with backpacks and bicycles; students zipped along cement pathways often plugged into an iPod or cell phone but also moving in small groups chatting. Impromptu Frisbee tosses and lacrosse throw-arounds popped up here and there. We walked through a petting zoo put on by Zahm Hall in North Quad where Lily got to sit on a little pony!
Campus is sprinkled with glorious long beds of tulips, daffodils, and hyacinths. The trees in “God Quad” were blooming and a few vibernum bushes perfumed the air.
We stopped in at The Grotto |
After a little searching, Chris found Father Joe Corpora in the security building offices and he came out on his way to a meeting to give big smiles and great big hugs to us all. I get such a charge out of Father Joe’s positive energy; my cheeks hurt from smiling whenever I’ve see him.
We found John Staud in the Institute for Educational Initiatives building where Lily enjoyed a short nap as ACE staffers oogled at her peacefulness. John led us up to the attic of the I.E.I to rifle through the ACE t-shirt stash where we each got a few wardrobe additions. Thanks ACE!
Chris, Jesus, and Duncan lived together in Flanner Hall for their first three years at Notre Dame. Flanner was turned into offices their senior year and the guys got split between Knott and Siegfried. Chris and Jesus became RAs in Siegfried while Ross was assigned to RA in Knott Hall. Father John Conley has been rector of Siegfried since their senior year (14 years). All the group pictures of the dorm residents over the years began with the ‘97-‘98 class so Chris and Jesus are immortalized on the wall of fame in the entryway of Siegfried. Father Conley was home so we got to sit with him for a while to catch up and share Lily with him. It’s a tough job being on-campus, in-dorm 24/7 but Father Conley does a great job and we know whatever he does next he’ll apply just as much love and commitment.
Fr Conley |
We were getting hungry at this point so took the path of least resistance to South Dining Hall. What a smorgasbord. It’s no wonder we all pack on some pounds in college! You could feasibly have cheese fries for dinner every day or bacon for breakfast or ice cream for lunch! There are also a number of salad bars and tons of options but the grease and fat sure is tempting. It’s also tempting to move at the frenetic pace of the students; they know what they want and don’t waste any time getting it (politely but quickly). I had to try to fight my urge to feel hurried and like an impediment to everyone else. After choosing a little of this and that—some mostly healthy, some less healthy—we found a table in the Hogwart’s-esque dining room. Lily slept in the stroller for most of the meal but woke up eventually to enjoy the ocean of people. The guys didn’t tend to react but a number of girls “aaaw”ed at her and Lily, of course, smiled, giggled and bounced in return. Toward the end of our waffles and ice cream dessert the table was filling up toward our end and out of all the chairs at all the tables in this enormous room the one student from Voorhees High School in Glen Gardner, New Jersey sat down next to Chris. Amazing. Chris had Tim in AP Government a year or two ago and so they caught each other up on school and sabbatical while I just marveled at the odds that we’d see him.
We tried to find Jeff Ulrich. He’s a great guy who we met at Immaculate Conception parish when we lived in the farmhouse. We hosted him and a few other youth group members for dinner at our house once and really enjoyed his company. Jeff wasn’t home but we learned that lots of people know him in Siegfried and Knott, where he lives; I was not surprised. Chris left the ubiquitous whiteboard note on Jeff’s dorm room door and we headed to the bookstore to poke around before bidding farewell to the grandeur and charm of Notre Dame.
[Unrelated to this page: calculated molecules]
/*
1.
Molecular formula: C45H42N4O7P2PbS
Method: DFT, ωB97M-V/def2-TZVPD

Element x y z (Å)
Pb -1.32 0.17 -1.52
O 3.34 -4.25 -3.08
C 2.37 -3.61 -2.73
C 1.97 -3.28 -1.31
O 2.41 -3.78 -0.30
C 0.92 -2.25 -1.42
C 0.58 -2.05 -2.78
O -0.32 -1.23 -3.17
C 1.34 -2.97 -3.64
O 1.18 -3.21 -4.82
O 0.36 -1.63 -0.47
C 2.33 1.96 2.83
C 1.99 0.55 3.33
P 1.26 -0.54 1.99
C 2.84 -0.74 1.06
C 3.02 0.04 -0.08
C 4.22 0.00 -0.77
C 5.25 -0.83 -0.34
C 5.07 -1.62 0.78
C 3.87 -1.58 1.48
C 1.12 -2.13 2.92
C 1.62 -2.35 4.20
C 1.41 -3.56 4.86
C 0.69 -4.57 4.24
C 0.17 -4.36 2.97
C 0.38 -3.15 2.32
P 1.11 2.67 1.61
C 1.89 4.32 1.29
C 2.67 5.05 2.19
C 3.23 6.26 1.82
C 3.01 6.77 0.54
C 2.25 6.05 -0.36
C 1.69 4.83 0.01
C -0.24 3.09 2.78
C -1.17 2.09 3.05
C -2.22 2.31 3.93
C -2.38 3.54 4.54
C -1.47 4.56 4.26
C -0.41 4.34 3.39
H 3.29 1.93 2.31
H 2.43 2.63 3.68
H 1.25 0.61 4.13
H 2.90 0.10 3.73
H 2.21 0.66 -0.43
H 4.35 0.61 -1.66
H 6.19 -0.87 -0.89
H 5.85 -2.29 1.11
H 3.72 -2.22 2.34
H 2.19 -1.58 4.71
H 1.81 -3.70 5.85
H 0.53 -5.51 4.75
H -0.39 -5.14 2.47
H -0.02 -2.98 1.33
H 2.85 4.67 3.19
H 3.82 6.82 2.53
H 3.44 7.73 0.26
H 2.08 6.44 -1.36
H 1.09 4.27 -0.69
H -1.08 1.13 2.55
H -2.94 1.51 4.11
H -3.21 3.72 5.21
H -1.60 5.54 4.71
H 0.26 5.15 3.17
C -2.07 -3.83 -1.34
C -3.38 -3.12 -0.96
C -4.24 -4.04 -0.08
C -4.14 -2.74 -2.23
C -3.06 -1.91 -0.16
C -2.98 -1.20 0.83
H -2.31 -4.77 -1.84
H -1.47 -4.05 -0.45
H -1.48 -3.22 -2.01
H -4.54 -4.92 -0.66
H -5.14 -3.51 0.24
H -3.69 -4.36 0.80
H -4.52 -3.65 -2.71
H -3.50 -2.21 -2.93
H -4.99 -2.09 -2.00
S -3.46 0.83 -3.14
C -2.99 0.95 -4.83
C -1.68 0.74 -5.30
C -1.38 0.85 -6.65
C -2.36 1.18 -7.58
C -3.66 1.39 -7.13
C -3.97 1.28 -5.78
H -0.91 0.45 -4.61
H -0.37 0.66 -6.98
H -2.12 1.25 -8.63
H -4.45 1.64 -7.83
H -4.98 1.44 -5.44
N -4.53 2.89 1.13
C -4.28 4.00 0.51
N -5.12 5.12 0.64
N -3.21 4.26 -0.26
C -2.30 3.40 -0.49
N -1.40 2.71 -0.79
H -5.39 2.97 1.66
H -4.16 1.09 1.78
H -6.09 4.90 0.79
H -4.97 5.79 -0.10
O -2.93 -0.39 1.84
O -4.27 0.16 2.08

Its HOMO-LUMO gap is 6.17 eV. As for the spin multiplicity: 1. Its total charge is -2. As for the lowest unoccupied orbital energy: 3.994 eV.

Mulliken population analysis, charges in e, atoms 1 to 8: atom 1 (Pb): 1.37, atom 2 (O): -0.68, atom 3 (C): 0.16, atom 4 (C): 0.03, atom 5 (O): -0.70, atom 6 (C): 0.91, atom 7 (C): -0.47, atom 8 (O): -0.76

***

2.
Molecular formula: C45H43As2N6O7SeTi
Method: DFT, ωB97M-V/def2-TZVPD

Element x y z (Å)
Ti 0.95 0.09 0.32
C -1.47 -2.48 -0.14
C -2.37 -1.29 -0.50
As -1.39 0.34 -1.07
C -2.76 1.68 -0.77
C -3.25 1.86 0.52
C -4.25 2.79 0.76
C -4.77 3.54 -0.28
C -4.27 3.38 -1.56
C -3.26 2.45 -1.81
C -1.31 0.14 -2.99
C -2.44 -0.10 -3.76
C -2.32 -0.29 -5.13
C -1.07 -0.24 -5.73
C 0.06 0.01 -4.96
C -0.05 0.20 -3.59
As 0.14 -2.53 -1.28
C -0.36 -3.64 -2.78
C -1.61 -3.49 -3.38
C -1.94 -4.25 -4.49
C -1.04 -5.17 -5.01
C 0.21 -5.31 -4.41
C 0.55 -4.55 -3.30
C 1.35 -3.66 -0.28
C 0.94 -4.55 0.71
C 1.89 -5.26 1.44
C 3.24 -5.10 1.17
C 3.65 -4.22 0.18
C 2.71 -3.50 -0.54
H -2.04 -3.41 -0.16
*/
Happy with Dad |
Thursday May 5th we drove just a couple hours north to Fort Custer State Park to stay for three nights and visit the last of the roommates: Ross. This park did not make much of a first impression what with the nearly impassible potholes and mostly empty, wooded campground and one-man-non-ranger staff. It felt a little like our New Jersey state parks: understaffed, underfunded, under-maintained and a terrible shame. Granted it is early in the season and certainly a safe place to stay but even I was turned away by the showers: five singletons, four locks, three working shower heads, two frogs, tepid water, spiders, and not enough pressure to wash my hair. I gave up and trotted my frozen self back to the camper. It was, however, intriguing that we noticed a number of people wandering around in the woods here and there. Chris learned that they were mushroom hunting, specifically for morels which sell for up to $45 per pound at market! We set up and enjoyed dinner our first night with the Notre Dame alumni doctors, Ross and Jen, along with their son Jake (4) and daughter Erin (5 weeks). Jake attended our wedding as a ten-month-old and it was so neat to see him miraculously grown up and full of personality! We were surprised when all of a sudden, it seemed, we looked up and it was 9:00. Being so far west in the Eastern Time zone it stays light out until at least nine this time of year. Jake enjoyed the late bedtime and Lily promptly hit the sheets (after a clean doubled up nappy) when we got back to the campground. We planned to join them for the next evening as well so headed out around 4:30 and experienced something new on our drive:
Going along on a 45mph road we encountered a crosswalk with several children waiting to cross. Naturally we stopped and waived them on meanwhile the oncoming traffic did not stop but continued barreling toward these children, one on a bike with training wheels. It reminded me of a mounted quadrille movement called ‘thread the needle’ because it seemed that just as the cars passed, the children continued safely across but neither seemed to yield. The car behind me actually honked at me for stopping at the crosswalk. I was baffled; but maybe the pedestrians just have to wait out here in Michigan.
Meet Ross |
- - -
(1)
This record from the Open Molecules 2025 dataset describes C38H40CoN3O5P2S3 as an isolated structure. The level of theory is ωB97M-V/def2-TZVPD.

The value obtained for the lowest unoccupied orbital energy (spin up / spin down) is -1.81 / -1.76 eV. Its gap between HOMO and LUMO (spin up / spin down) is 0.2123 / 0.2143 hartree. As for the largest force on an atom: 0.01712 hartree/bohr. Its HOMO energy (spin up / spin down) is -0.279 / -0.279 Ha.

The geometry in XYZ format:
```
92
Properties=species:S:1:pos:R:3:forces:R:3
H 0.473 0.583 5.203 -0.01 0.00 0.00
C 4.742 -3.753 -0.499 0.02 0.01 0.00
C -3.735 1.518 -5.090 0.01 -0.02 0.05
H 1.431 0.927 -4.936 0.00 -0.04 -0.02
C 3.789 0.591 0.383 -0.04 -0.14 -0.02
H 0.242 -2.760 -2.793 0.00 0.02 -0.02
C 4.144 -0.769 4.492 -0.07 0.04 -0.01
P -0.307 -0.595 -1.927 0.00 0.31 -0.19
C -1.785 0.439 -2.296 0.10 -0.18 -0.07
C 3.027 -0.643 0.847 -0.09 0.17 0.27
C -0.460 -1.320 4.923 0.06 0.12 -0.35
C -1.427 2.477 1.201 0.14 -0.03 0.02
C 1.173 1.668 -2.363 -0.02 0.03 -0.02
C -0.866 -2.245 3.961 -0.08 -0.11 0.07
H -2.979 0.900 3.203 -0.01 0.00 -0.01
H -4.248 2.423 1.580 0.00 -0.01 0.01
N -3.034 2.333 -1.562 -0.04 -0.04 0.04
H -3.486 0.743 -5.803 0.01 0.00 0.01
H 0.638 1.041 2.734 -0.01 0.02 0.00
H 5.640 -4.332 -0.655 -0.01 0.00 0.00
O -1.666 -2.150 6.730 0.14 0.05 -0.16
H 2.182 -1.503 -3.368 0.00 0.02 0.03
H 0.298 2.302 -2.540 0.03 -0.01 0.01
H 2.035 2.149 -2.831 -0.02 0.01 -0.02
H 4.736 0.627 2.880 0.01 -0.04 0.02
C -2.250 1.322 -1.288 0.00 0.02 0.09
O -1.025 -2.185 0.309 -0.40 -0.39 0.12
C 3.307 -1.832 4.614 0.09 -0.02 0.04
C 3.472 -1.925 0.156 0.06 0.07 -0.04
H 5.180 -0.094 -1.104 -0.02 0.01 -0.02
C 4.135 -0.220 3.177 -0.12 0.07 0.09
C 3.270 -0.862 2.338 0.23 -0.06 -0.06
C -3.169 1.446 -3.793 0.00 -0.09 -0.10
S 2.299 -3.043 -0.411 -0.10 0.04 0.02
C 4.449 2.954 0.034 0.07 0.01 -0.03
C 0.089 -0.118 4.475 0.07 -0.05 0.10
H -4.976 -1.147 0.793 -0.01 0.00 -0.01
P -1.861 0.889 0.451 -0.17 -0.28 -0.38
H -2.141 3.220 0.847 0.01 0.05 0.03
C -0.596 -1.600 6.419 -0.10 -0.15 0.52
C -0.673 -2.173 -2.716 -0.02 -0.12 0.02
C 4.726 -2.450 0.073 0.02 0.01 -0.06
C 2.278 -0.532 -2.877 0.06 0.04 -0.01
H -5.503 4.384 -4.734 0.00 -0.01 0.00
C 4.757 0.738 -0.561 -0.01 -0.01 -0.08
H -4.389 -0.134 3.023 0.00 0.01 0.00
C -4.546 1.540 1.012 -0.01 0.06 0.02
C -4.336 3.511 -3.194 0.04 -0.03 0.03
N -0.240 -0.751 2.222 -0.13 -0.12 0.83
H 4.724 -0.368 5.310 -0.01 -0.01 0.00
H -2.789 -0.812 2.815 -0.01 -0.01 -0.01
H 3.066 0.026 -3.388 0.01 -0.01 -0.03
C -4.853 3.567 -4.452 0.00 -0.04 -0.07
C -3.487 2.434 -2.836 -0.04 0.11 0.04
C 3.495 -4.196 -0.812 0.02 -0.02 0.05
H 5.898 2.412 -1.466 -0.02 0.00 0.00
H -0.419 2.765 0.898 -0.02 -0.01 -0.02
H -0.304 0.935 -4.623 0.00 0.04 0.01
O -1.571 -3.927 1.590 -0.02 0.03 0.11
S 3.356 2.120 1.051 -0.23 0.05 -0.12
C 0.984 0.273 -2.963 -0.06 -0.08 0.00
H -4.228 -0.567 -0.695 -0.01 0.01 0.02
H -5.483 1.176 1.439 0.00 0.03 0.01
H 5.605 -1.940 0.444 -0.01 -0.01 -0.01
C -1.148 -2.808 1.481 -0.01 0.09 -0.18
- - -
After another glorious dinner of Panini sandwiches and soup-a-la-Ross, it came up in conversation that perhaps Chris and Ross should build a garden the next day…an ambitious goal but one that is close to Chris’ heart. Ross explained his previous attempts at green thumbing and we offered some tidbits about what we’d learned while building our large garden at the farmhouse. Rabbits were the main concern now for Ross and he seemed pretty excited about having basil and tomatoes in his backyard. The next morning we set out on the half hour drive back to their house, Chris in his boots and Carhartts ready to dig in the dirt! They plotted it out, went shopping for fencing and plants, dug up some lawn, dug in the fence to avoid rabbits slipping under, fluffed up the soil with some compost and manure, planted the seedlings and voila! All in a day’s work.
Garden Before |
Garden After |
Meanwhile Jen and I watched the girls and made lunch. Lily enjoyed some quality time in the grass. Now that she can sit up on her own it’s so fun to plunk her down and watch from a short distance away as she explores her surroundings. I hope this garden keeps Ross and Chris communicating a bit more often as I know they enjoyed this project together and I know they both want it to succeed.

We ordered some pretty snazzy pizza and a big salad for dinner but were unsuccessful in treating (my mistake) so accepted another gifted meal from Ross and Jen. After dinner Chris asked Jen—the pediatrician—if she’d confirm his suspicion that Lily had cut her first tooth…Jen was sure she had! This wouldn’t have been strange to me unless I dreamed that Lily’s bottom two teeth magically appeared at the same time the night before…odd. We enjoyed chatting about healthcare and education with these great friends and were better about leaving before dark this last evening with them. We left the Kalamazoo area with a bittersweet feeling given that we had to leave Ross’ family but we also got to leave behind the dysfunctional Fort Custer State Park.
Jake, Me, Jen, Lily, Chris, Ross, Erin |